# Listing
'''
This record from the Open Molecules 2025 dataset describes 7 unconnected molecules or ions with the total composition C49H113N7O10 at a distorted geometry. The level of theory is wB97M-V/def2-TZVPD.

Results
Highest occupied orbital energy ... -0.2961 Eh
SMILES ... CC1(C)CCCC(C)(C)N1O.CC1(C)CCCC(C)(C)N1O.CC1(C)CCCC(C)(C)N1O.COC[C@H](C)N.COCCNCCOC.COCCNCCOC.COCCNCCOC
Relative energy (zero: lowest compared OMol25 entry of this formula, charge and spin) ... 226.4 kJ/mol
LUMO level ... 0.573 eV
Strongest force on any atom ... 0.0556 hartree/bohr
E_tot ... -83540.504 eV

Structure (XYZ):
```
179
Properties=species:S:1:pos:R:3:mulliken_charge:R:1
C 0.763 16.745 -1.623 -1.373
C 1.480 16.798 -0.286 0.946
C 2.972 16.542 -0.334 -0.998
O 3.550 17.409 -1.300 -0.280
C 4.890 17.147 -1.583 -0.805
N 1.050 17.977 0.461 -0.659
H 1.220 17.550 -2.208 0.449
H -0.318 16.803 -1.538 0.131
H 0.943 15.883 -2.271 0.534
H 1.045 16.025 0.367 -0.261
H 3.154 15.483 -0.557 0.422
H 3.468 16.759 0.621 0.435
H 5.083 16.211 -2.128 0.317
H 5.548 17.091 -0.709 0.299
H 5.248 17.908 -2.276 0.262
H 1.517 18.042 1.363 0.280
H 1.429 18.822 0.023 0.258
C -1.044 9.390 5.178 -0.555
O -2.373 9.193 5.611 -0.164
C -2.481 8.512 6.816 -0.520
C -3.953 8.493 7.255 -0.784
N -4.201 7.707 8.435 -0.143
C -5.559 7.773 8.915 -0.652
C -5.821 6.811 10.037 -0.614
O -5.649 5.492 9.557 -0.302
C -5.568 4.528 10.579 -0.744
H -0.507 8.448 5.035 0.490
H -0.621 10.081 5.916 0.544
H -0.955 9.905 4.219 -0.322
H -1.921 8.920 7.664 0.286
H -2.187 7.462 6.673 0.292
H -4.710 8.379 6.464 0.390
H -4.184 9.545 7.487 0.260
H -3.910 6.741 8.351 0.219
H -6.356 7.673 8.159 0.348
H -5.709 8.787 9.309 0.370
H -6.832 6.964 10.425 0.386
H -5.097 7.110 10.807 0.351
H -4.971 4.786 11.457 0.325
H -5.177 3.633 10.095 0.243
H -6.561 4.264 10.969 0.280
C 9.292 6.052 -4.501 -0.684
O 8.230 6.887 -4.953 -0.333
C 7.868 7.912 -4.077 -0.636
C 6.365 8.119 -4.026 -0.572
N 5.696 6.858 -3.650 -0.309
C 4.245 6.931 -3.619 -0.710
C 3.601 7.878 -2.649 -0.376
O 2.260 7.553 -2.448 -0.431
C 1.772 8.217 -1.300 -0.513
H 9.908 5.722 -5.328 0.253
H 8.820 5.219 -3.973 0.281
H 9.871 6.562 -3.729 0.311
H 8.428 8.847 -4.207 0.359
H 8.164 7.659 -3.046 0.380
H 6.064 8.448 -5.035 0.287
H 6.045 8.929 -3.370 0.422
H 5.989 6.258 -4.415 0.240
H 4.002 5.925 -3.245 0.328
H 3.736 6.938 -4.594 0.279
H 3.734 8.917 -2.999 0.305
H 4.207 7.898 -1.729 0.361
H 2.224 7.793 -0.390 0.137
H 0.711 8.098 -1.098 0.331
H 2.092 9.263 -1.331 0.321
C 4.528 5.958 7.036 -0.634
O 3.138 6.155 7.099 -0.369
C 2.745 7.475 7.430 -0.847
C 2.629 8.459 6.261 -0.047
N 3.838 8.711 5.500 0.015
C 3.920 9.970 4.800 -1.347
C 3.160 9.969 3.482 0.372
O 3.664 9.217 2.400 -0.444
C 3.357 7.850 2.486 -0.574
H 4.978 6.526 6.218 0.184
H 4.809 4.919 6.867 0.279
H 5.008 6.232 7.984 0.301
H 3.362 7.875 8.244 0.424
H 1.745 7.311 7.834 0.328
H 2.176 9.371 6.666 0.280
H 1.928 7.990 5.563 0.042
H 4.718 8.381 5.848 0.207
H 4.963 10.263 4.666 0.426
H 3.505 10.780 5.423 0.395
H 3.220 11.013 3.152 0.416
H 2.104 9.729 3.668 -0.104
H 3.665 7.343 1.562 0.282
H 2.289 7.617 2.556 0.186
H 3.927 7.273 3.217 0.270
C -4.821 9.196 -5.343 -2.013
C -4.062 10.508 -5.568 1.562
C -2.555 10.129 -5.760 -1.254
C -1.779 11.316 -6.314 -0.537
C -2.323 11.643 -7.711 -1.161
C -3.789 12.032 -7.604 1.714
N -4.585 11.158 -6.764 0.322
O -5.855 11.709 -6.524 -0.534
C -3.829 13.514 -7.118 -1.786
C -4.381 12.021 -9.020 -2.023
C -4.160 11.350 -4.278 -1.482
H -4.926 8.702 -6.312 0.492
H -5.840 9.445 -5.030 0.417
H -4.417 8.514 -4.598 0.327
H -2.198 9.781 -4.793 0.449
H -2.485 9.303 -6.472 0.353
H -0.712 11.163 -6.513 0.367
H -1.790 12.178 -5.643 0.281
H -2.290 10.708 -8.280 0.316
H -1.669 12.408 -8.118 0.460
H -3.850 13.610 -6.035 0.307
H -3.036 14.122 -7.558 0.356
H -4.703 14.035 -7.523 0.408
H -4.389 10.980 -9.352 0.452
H -5.405 12.404 -9.078 0.443
H -3.865 12.682 -9.720 0.358
H -3.835 10.726 -3.443 0.405
H -5.215 11.568 -4.114 0.370
H -3.511 12.218 -4.356 0.291
H -6.445 11.285 -7.157 0.360
C -0.733 13.351 1.008 -1.951
'''
# Brief
Could you repeat everything further above character by character?
# Done
This record from the Open Molecules 2025 dataset describes 7 unconnected molecules or ions with the total composition C49H113N7O10 at a distorted geometry. The level of theory is wB97M-V/def2-TZVPD.

Results
Highest occupied orbital energy ... -0.2961 Eh
SMILES ... CC1(C)CCCC(C)(C)N1O.CC1(C)CCCC(C)(C)N1O.CC1(C)CCCC(C)(C)N1O.COC[C@H](C)N.COCCNCCOC.COCCNCCOC.COCCNCCOC
Relative energy (zero: lowest compared OMol25 entry of this formula, charge and spin) ... 226.4 kJ/mol
LUMO level ... 0.573 eV
Strongest force on any atom ... 0.0556 hartree/bohr
E_tot ... -83540.504 eV

Structure (XYZ):
```
179
Properties=species:S:1:pos:R:3:mulliken_charge:R:1
C 0.763 16.745 -1.623 -1.373
C 1.480 16.798 -0.286 0.946
C 2.972 16.542 -0.334 -0.998
O 3.550 17.409 -1.300 -0.280
C 4.890 17.147 -1.583 -0.805
N 1.050 17.977 0.461 -0.659
H 1.220 17.550 -2.208 0.449
H -0.318 16.803 -1.538 0.131
H 0.943 15.883 -2.271 0.534
H 1.045 16.025 0.367 -0.261
H 3.154 15.483 -0.557 0.422
H 3.468 16.759 0.621 0.435
H 5.083 16.211 -2.128 0.317
H 5.548 17.091 -0.709 0.299
H 5.248 17.908 -2.276 0.262
H 1.517 18.042 1.363 0.280
H 1.429 18.822 0.023 0.258
C -1.044 9.390 5.178 -0.555
O -2.373 9.193 5.611 -0.164
C -2.481 8.512 6.816 -0.520
C -3.953 8.493 7.255 -0.784
N -4.201 7.707 8.435 -0.143
C -5.559 7.773 8.915 -0.652
C -5.821 6.811 10.037 -0.614
O -5.649 5.492 9.557 -0.302
C -5.568 4.528 10.579 -0.744
H -0.507 8.448 5.035 0.490
H -0.621 10.081 5.916 0.544
H -0.955 9.905 4.219 -0.322
H -1.921 8.920 7.664 0.286
H -2.187 7.462 6.673 0.292
H -4.710 8.379 6.464 0.390
H -4.184 9.545 7.487 0.260
H -3.910 6.741 8.351 0.219
H -6.356 7.673 8.159 0.348
H -5.709 8.787 9.309 0.370
H -6.832 6.964 10.425 0.386
H -5.097 7.110 10.807 0.351
H -4.971 4.786 11.457 0.325
H -5.177 3.633 10.095 0.243
H -6.561 4.264 10.969 0.280
C 9.292 6.052 -4.501 -0.684
O 8.230 6.887 -4.953 -0.333
C 7.868 7.912 -4.077 -0.636
C 6.365 8.119 -4.026 -0.572
N 5.696 6.858 -3.650 -0.309
C 4.245 6.931 -3.619 -0.710
C 3.601 7.878 -2.649 -0.376
O 2.260 7.553 -2.448 -0.431
C 1.772 8.217 -1.300 -0.513
H 9.908 5.722 -5.328 0.253
H 8.820 5.219 -3.973 0.281
H 9.871 6.562 -3.729 0.311
H 8.428 8.847 -4.207 0.359
H 8.164 7.659 -3.046 0.380
H 6.064 8.448 -5.035 0.287
H 6.045 8.929 -3.370 0.422
H 5.989 6.258 -4.415 0.240
H 4.002 5.925 -3.245 0.328
H 3.736 6.938 -4.594 0.279
H 3.734 8.917 -2.999 0.305
H 4.207 7.898 -1.729 0.361
H 2.224 7.793 -0.390 0.137
H 0.711 8.098 -1.098 0.331
H 2.092 9.263 -1.331 0.321
C 4.528 5.958 7.036 -0.634
O 3.138 6.155 7.099 -0.369
C 2.745 7.475 7.430 -0.847
C 2.629 8.459 6.261 -0.047
N 3.838 8.711 5.500 0.015
C 3.920 9.970 4.800 -1.347
C 3.160 9.969 3.482 0.372
O 3.664 9.217 2.400 -0.444
C 3.357 7.850 2.486 -0.574
H 4.978 6.526 6.218 0.184
H 4.809 4.919 6.867 0.279
H 5.008 6.232 7.984 0.301
H 3.362 7.875 8.244 0.424
H 1.745 7.311 7.834 0.328
H 2.176 9.371 6.666 0.280
H 1.928 7.990 5.563 0.042
H 4.718 8.381 5.848 0.207
H 4.963 10.263 4.666 0.426
H 3.505 10.780 5.423 0.395
H 3.220 11.013 3.152 0.416
H 2.104 9.729 3.668 -0.104
H 3.665 7.343 1.562 0.282
H 2.289 7.617 2.556 0.186
H 3.927 7.273 3.217 0.270
C -4.821 9.196 -5.343 -2.013
C -4.062 10.508 -5.568 1.562
C -2.555 10.129 -5.760 -1.254
C -1.779 11.316 -6.314 -0.537
C -2.323 11.643 -7.711 -1.161
C -3.789 12.032 -7.604 1.714
N -4.585 11.158 -6.764 0.322
O -5.855 11.709 -6.524 -0.534
C -3.829 13.514 -7.118 -1.786
C -4.381 12.021 -9.020 -2.023
C -4.160 11.350 -4.278 -1.482
H -4.926 8.702 -6.312 0.492
H -5.840 9.445 -5.030 0.417
H -4.417 8.514 -4.598 0.327
H -2.198 9.781 -4.793 0.449
H -2.485 9.303 -6.472 0.353
H -0.712 11.163 -6.513 0.367
H -1.790 12.178 -5.643 0.281
H -2.290 10.708 -8.280 0.316
H -1.669 12.408 -8.118 0.460
H -3.850 13.610 -6.035 0.307
H -3.036 14.122 -7.558 0.356
H -4.703 14.035 -7.523 0.408
H -4.389 10.980 -9.352 0.452
H -5.405 12.404 -9.078 0.443
H -3.865 12.682 -9.720 0.358
H -3.835 10.726 -3.443 0.405
H -5.215 11.568 -4.114 0.370
H -3.511 12.218 -4.356 0.291
H -6.445 11.285 -7.157 0.360
C -0.733 13.351 1.008 -1.951